== Request ==
It remains to restate all of the lines underneath exactly.
== Data ==
Run i
Li4MnFe3B4O12 (PBE+U, optimized geometry); SG = P1 (1)
1.0
5.2268 0.0000 0.0000
2.5947 4.5380 0.0000
0.6468 -0.0074 20.7858
Li Mn Fe B O
8 2 6 8 24
Direct
0.0000 0.0000 0.0000
0.0000 0.0039 0.5028
0.6683 0.0368 0.8762
0.6717 0.0107 0.1259
0.6743 0.0363 0.3783
0.6814 0.0058 0.6277
0.9836 0.0399 0.7519
0.9849 0.0455 0.2524
0.3300 0.6846 0.1420
0.6583 0.6966 0.2684
0.3203 0.3415 0.0165
0.3256 0.3421 0.5197
0.3301 0.6864 0.6427
0.6477 0.6938 0.7675
0.9950 0.3582 0.8915
0.9987 0.3626 0.3953
0.0019 0.3547 0.6476
0.3272 0.3553 0.7719
0.3291 0.3621 0.2737
0.3376 0.6869 0.8966
0.3402 0.6854 0.3996
0.6602 0.6836 0.0201
0.6595 0.6860 0.5232
0.9931 0.3557 0.1460
0.0670 0.9422 0.9034
0.0703 0.3439 0.7867
0.0716 0.9411 0.4069
0.0779 0.3402 0.2892
0.2581 0.3332 0.1243
0.2673 0.3384 0.6276
0.2981 0.6302 0.2522
0.3064 0.6224 0.7529
0.3604 0.4141 0.9105
0.3637 0.4120 0.4139
0.3902 0.6997 0.5380
0.3924 0.6948 0.0353
0.5866 0.7041 0.8766
0.5904 0.6996 0.3787
0.6009 0.1036 0.7771
0.6050 0.1170 0.2806
0.6821 0.9388 0.5286
0.6825 0.9362 0.0261
0.7515 0.6330 0.1615
0.7531 0.6265 0.6615
0.9050 0.4179 0.0010
0.9053 0.4204 0.5046
0.9669 0.1067 0.1541
0.9867 0.0982 0.6547



Run ii
Li4MnFe3B4O12 (PBE+U, optimized geometry); SG = P1 (1)
1.0
5.2256 0.0000 0.0000
2.5871 4.5433 0.0000
0.7583 -0.0289 20.8472
Li Mn Fe B O
8 2 6 8 24
Direct
0.0000 0.0000 0.0000
0.0033 0.0082 0.5005
0.0128 0.9772 0.7491
0.0259 0.9741 0.2528
0.3152 0.0079 0.3760
0.3234 0.9757 0.6249
0.3280 0.0171 0.8735
0.3418 0.9761 0.1253
0.0096 0.6494 0.1085
0.3419 0.3247 0.7341
0.0001 0.6453 0.6065
0.3619 0.3098 0.2331
0.6630 0.3363 0.3590
0.6680 0.6660 0.9832
0.6741 0.3324 0.8581
0.6762 0.6724 0.4819
0.0014 0.6717 0.8557
0.0037 0.6582 0.3552
0.3407 0.3195 0.9794
0.3441 0.3274 0.4799
0.6607 0.3261 0.6031
0.6724 0.6591 0.7298
0.6752 0.3227 0.1050
0.6845 0.6538 0.2316
0.0180 0.9144 0.3479
0.0198 0.9265 0.8483
0.0961 0.5827 0.9994
0.0992 0.5925 0.4981
0.2509 0.4008 0.8416
0.2515 0.3845 0.3411
0.3172 0.0686 0.9726
0.3215 0.0751 0.4744
0.3972 0.9029 0.7236
0.4093 0.3149 0.6243
0.4115 0.9041 0.2255
0.4310 0.3006 0.1269
0.6116 0.3056 0.9650
0.6155 0.3116 0.4653
0.6376 0.6006 0.5886
0.6397 0.6004 0.0897
0.7035 0.3886 0.2510
0.7027 0.3894 0.7500
0.7366 0.6854 0.8751
0.7385 0.6724 0.3755
0.9235 0.6816 0.7143
0.9288 0.0713 0.5960
0.9408 0.6672 0.2162
0.9486 0.0746 0.0973



Stability summary - winner: run i; margin: 13 meV per atom.



Run i
LiFe2B2O6 (PBE+U, optimized geometry); SG = P1 (1)
1.0
5.2799 0.0000 0.0000
0.0291 9.0702 0.0000
2.4908 4.5197 10.1752
Li Fe B O
4 8 8 24
Direct
0.0000 0.0000 0.0000
0.0704 0.3703 0.2436
0.7391 0.7450 0.5007
0.8098 0.1359 0.7510
0.0423 0.0141 0.2808
0.2362 0.5739 0.5307
0.2945 0.9458 0.7782
0.4845 0.1557 0.0369
0.5437 0.5384 0.2774
0.7295 0.0735 0.5292
0.7864 0.4553 0.7768
0.9853 0.6476 0.0270
0.0257 0.6825 0.2854
0.2455 0.9070 0.5274
0.2710 0.2778 0.7853
0.4835 0.8270 0.0358
0.5409 0.2063 0.2788
0.7294 0.4054 0.5343
0.7954 0.7870 0.7740
0.9877 0.3092 0.0313
0.0011 0.9339 0.4929
0.0049 0.7733 0.8294
0.0787 0.4259 0.0585
0.1015 0.1600 0.0622
0.1412 0.1381 0.8010
0.1619 0.4235 0.7410
0.2501 0.8387 0.9978
0.2578 0.6528 0.3248
0.3559 0.0187 0.5634
0.3739 0.7793 0.5233
0.4164 0.3394 0.2780
0.4391 0.1068 0.2287
0.5161 0.2730 0.8189
0.5304 0.4511 0.4715
0.5900 0.6813 0.0841
0.6218 0.9673 0.0216
0.6851 0.6593 0.7609
0.6936 0.9390 0.7289
0.7701 0.1709 0.3261
0.7709 0.3233 0.9747
0.8278 0.2580 0.5583
0.8281 0.5136 0.5783
0.8938 0.8079 0.2956
0.9269 0.5721 0.2440



Run ii
LiFe2B2O6 (PBE+U, optimized geometry); SG = P1 (1)
1.0
5.2760 0.0000 0.0000
-0.0647 9.0475 0.0000
-0.1878 -0.0204 10.1725
Li Fe B O
4 8 8 24
Direct
0.0000 0.0000 0.0000
0.0375 0.0112 0.4916
0.5318 0.5140 0.5050
0.6802 0.3507 0.7832
0.0254 0.3440 0.0297
0.0333 0.6840 0.5373
0.1658 0.5191 0.2840
0.1751 0.1708 0.7751
0.4930 0.8304 0.0303
0.5306 0.1814 0.5313
0.6641 0.0144 0.2796
0.6698 0.6896 0.7812
0.0183 0.3437 0.5328
0.1743 0.5134 0.7833
0.1757 0.1829 0.2815
0.5211 0.8483 0.5313
0.5249 0.1754 0.0316
== Outcome ==
Run i
Li4MnFe3B4O12 (PBE+U, optimized geometry); SG = P1 (1)
1.0
5.2268 0.0000 0.0000
2.5947 4.5380 0.0000
0.6468 -0.0074 20.7858
Li Mn Fe B O
8 2 6 8 24
Direct
0.0000 0.0000 0.0000
0.0000 0.0039 0.5028
0.6683 0.0368 0.8762
0.6717 0.0107 0.1259
0.6743 0.0363 0.3783
0.6814 0.0058 0.6277
0.9836 0.0399 0.7519
0.9849 0.0455 0.2524
0.3300 0.6846 0.1420
0.6583 0.6966 0.2684
0.3203 0.3415 0.0165
0.3256 0.3421 0.5197
0.3301 0.6864 0.6427
0.6477 0.6938 0.7675
0.9950 0.3582 0.8915
0.9987 0.3626 0.3953
0.0019 0.3547 0.6476
0.3272 0.3553 0.7719
0.3291 0.3621 0.2737
0.3376 0.6869 0.8966
0.3402 0.6854 0.3996
0.6602 0.6836 0.0201
0.6595 0.6860 0.5232
0.9931 0.3557 0.1460
0.0670 0.9422 0.9034
0.0703 0.3439 0.7867
0.0716 0.9411 0.4069
0.0779 0.3402 0.2892
0.2581 0.3332 0.1243
0.2673 0.3384 0.6276
0.2981 0.6302 0.2522
0.3064 0.6224 0.7529
0.3604 0.4141 0.9105
0.3637 0.4120 0.4139
0.3902 0.6997 0.5380
0.3924 0.6948 0.0353
0.5866 0.7041 0.8766
0.5904 0.6996 0.3787
0.6009 0.1036 0.7771
0.6050 0.1170 0.2806
0.6821 0.9388 0.5286
0.6825 0.9362 0.0261
0.7515 0.6330 0.1615
0.7531 0.6265 0.6615
0.9050 0.4179 0.0010
0.9053 0.4204 0.5046
0.9669 0.1067 0.1541
0.9867 0.0982 0.6547



Run ii
Li4MnFe3B4O12 (PBE+U, optimized geometry); SG = P1 (1)
1.0
5.2256 0.0000 0.0000
2.5871 4.5433 0.0000
0.7583 -0.0289 20.8472
Li Mn Fe B O
8 2 6 8 24
Direct
0.0000 0.0000 0.0000
0.0033 0.0082 0.5005
0.0128 0.9772 0.7491
0.0259 0.9741 0.2528
0.3152 0.0079 0.3760
0.3234 0.9757 0.6249
0.3280 0.0171 0.8735
0.3418 0.9761 0.1253
0.0096 0.6494 0.1085
0.3419 0.3247 0.7341
0.0001 0.6453 0.6065
0.3619 0.3098 0.2331
0.6630 0.3363 0.3590
0.6680 0.6660 0.9832
0.6741 0.3324 0.8581
0.6762 0.6724 0.4819
0.0014 0.6717 0.8557
0.0037 0.6582 0.3552
0.3407 0.3195 0.9794
0.3441 0.3274 0.4799
0.6607 0.3261 0.6031
0.6724 0.6591 0.7298
0.6752 0.3227 0.1050
0.6845 0.6538 0.2316
0.0180 0.9144 0.3479
0.0198 0.9265 0.8483
0.0961 0.5827 0.9994
0.0992 0.5925 0.4981
0.2509 0.4008 0.8416
0.2515 0.3845 0.3411
0.3172 0.0686 0.9726
0.3215 0.0751 0.4744
0.3972 0.9029 0.7236
0.4093 0.3149 0.6243
0.4115 0.9041 0.2255
0.4310 0.3006 0.1269
0.6116 0.3056 0.9650
0.6155 0.3116 0.4653
0.6376 0.6006 0.5886
0.6397 0.6004 0.0897
0.7035 0.3886 0.2510
0.7027 0.3894 0.7500
0.7366 0.6854 0.8751
0.7385 0.6724 0.3755
0.9235 0.6816 0.7143
0.9288 0.0713 0.5960
0.9408 0.6672 0.2162
0.9486 0.0746 0.0973



Stability summary - winner: run i; margin: 13 meV per atom.



Run i
LiFe2B2O6 (PBE+U, optimized geometry); SG = P1 (1)
1.0
5.2799 0.0000 0.0000
0.0291 9.0702 0.0000
2.4908 4.5197 10.1752
Li Fe B O
4 8 8 24
Direct
0.0000 0.0000 0.0000
0.0704 0.3703 0.2436
0.7391 0.7450 0.5007
0.8098 0.1359 0.7510
0.0423 0.0141 0.2808
0.2362 0.5739 0.5307
0.2945 0.9458 0.7782
0.4845 0.1557 0.0369
0.5437 0.5384 0.2774
0.7295 0.0735 0.5292
0.7864 0.4553 0.7768
0.9853 0.6476 0.0270
0.0257 0.6825 0.2854
0.2455 0.9070 0.5274
0.2710 0.2778 0.7853
0.4835 0.8270 0.0358
0.5409 0.2063 0.2788
0.7294 0.4054 0.5343
0.7954 0.7870 0.7740
0.9877 0.3092 0.0313
0.0011 0.9339 0.4929
0.0049 0.7733 0.8294
0.0787 0.4259 0.0585
0.1015 0.1600 0.0622
0.1412 0.1381 0.8010
0.1619 0.4235 0.7410
0.2501 0.8387 0.9978
0.2578 0.6528 0.3248
0.3559 0.0187 0.5634
0.3739 0.7793 0.5233
0.4164 0.3394 0.2780
0.4391 0.1068 0.2287
0.5161 0.2730 0.8189
0.5304 0.4511 0.4715
0.5900 0.6813 0.0841
0.6218 0.9673 0.0216
0.6851 0.6593 0.7609
0.6936 0.9390 0.7289
0.7701 0.1709 0.3261
0.7709 0.3233 0.9747
0.8278 0.2580 0.5583
0.8281 0.5136 0.5783
0.8938 0.8079 0.2956
0.9269 0.5721 0.2440



Run ii
LiFe2B2O6 (PBE+U, optimized geometry); SG = P1 (1)
1.0
5.2760 0.0000 0.0000
-0.0647 9.0475 0.0000
-0.1878 -0.0204 10.1725
Li Fe B O
4 8 8 24
Direct
0.0000 0.0000 0.0000
0.0375 0.0112 0.4916
0.5318 0.5140 0.5050
0.6802 0.3507 0.7832
0.0254 0.3440 0.0297
0.0333 0.6840 0.5373
0.1658 0.5191 0.2840
0.1751 0.1708 0.7751
0.4930 0.8304 0.0303
0.5306 0.1814 0.5313
0.6641 0.0144 0.2796
0.6698 0.6896 0.7812
0.0183 0.3437 0.5328
0.1743 0.5134 0.7833
0.1757 0.1829 0.2815
0.5211 0.8483 0.5313
0.5249 0.1754 0.0316